Lies normally hurt, but… The truth is killing us all!
by Shantibaba
They call themselves Humans and inhabit the planet called Earth.
This is a species that considers itself superior to the laws of Mother Nature and Evolution.
Their actions and relation to raw materials found on Earth seem to point them in line with a party interested in profit-taking with little or no thought to the con-sequences it is causing to the living entity of a planet.`
Can you imagine how an Alien would view us, if they were to arrive tomorrow?
In the past year alone, at a time where computers, technol-ogy and advances in scientific research dominants, the two biggest and most economically advanced nations of the world could not deal with two manmade epic disasters they have inflicted on the world.
America could not shut off petroleum they tapped for their energy needs in their back yard, and Japan is melting down as we speak polluting the entire world with radioactivity. From countries that had back up measures installed for the highly unlikely and the most improbable situations…with several safe guards in place in case one did not work…to prevent world catastrophes like Chernobyl from happen-ing again! We supposedly learnt our lessons and like the dropping of 2 nuclear bombs on the Japanese civilization in the WW2, man would not forget? So did I miss some-thing someone said, as from where I sit things look pretty meek for the age we are in!
**What comes next are quantum chemistry results, not part of the page:**
#P
This record from OMol25 describes 4 unconnected molecules or ions with the total composition H8O4. The level of theory is wB97M-V/def2-TZVPD.

HOMO level: -11.29 eV
2S+1: 1
orbital gap: 11.83 eV
LUMO level: 0.54 eV
SMILES: O.O.O.O

Each line ends with the natural charge from an NBO analysis.
Geometry (Å):
O -3.798 0.747 4.552  -0.931
H -3.942 0.079 3.882  0.466
H -4.402 0.515 5.257  0.465
O 1.556 2.014 -3.342  -0.938
H 1.128 2.100 -4.194  0.467
H 1.907 1.123 -3.339  0.471
O 0.163 0.672 1.167  -0.936
H 0.497 0.828 0.284  0.472
H -0.065 -0.257 1.177  0.464
O 2.282 -2.230 -1.908  -0.940
H 1.818 -2.975 -2.290  0.469
H 2.855 -2.617 -1.246  0.471

#Q
This record from OMol25 describes 4 unconnected molecules or ions with the total composition H8O4. The level of theory is wB97M-V/def2-TZVPD.

HOMO level: -10.90 eV
2S+1: 1
orbital gap: 11.39 eV
LUMO level: 0.50 eV
SMILES: O.O.O.O

Each line ends with the natural charge from an NBO analysis.
Geometry (Å):
O 2.368 -2.022 -1.476  -0.942
H 3.223 -1.964 -1.913  0.468
H 2.542 -1.806 -0.553  0.474
O -2.037 2.761 0.441  -0.942
H -2.553 1.959 0.304  0.468
H -1.707 2.689 1.343  0.476
O -0.608 -1.565 1.370  -0.964
H -1.462 -1.451 1.794  0.458
H -0.509 -0.816 0.757  0.493
O 0.246 0.583 -0.332  -0.965
H -0.382 1.219 -0.696  0.487
H 0.880 0.412 -1.039  0.489

Which of them is the least stable? Correct choice: #P.

#P
This record from OMol25 describes 4 unconnected molecules or ions with the total composition H8O4. The level of theory is wB97M-V/def2-TZVPD.

HOMO level: -11.33 eV
2S+1: 1
orbital gap: 11.71 eV
LUMO level: 0.38 eV
SMILES: O.O.O.O

Each line ends with the natural charge from an NBO analysis.
Geometry (Å):
O 2.020 0.880 0.011  -0.941
H 2.675 0.990 0.700  0.468
H 1.181 0.919 0.468  0.473
O 2.247 2.654 -4.078  -0.939
H 2.129 2.255 -3.217  0.473
H 3.036 3.189 -3.989  0.465
O -2.496 0.377 1.821  -0.940
H -3.066 0.960 2.322  0.471
H -3.068 -0.339 1.543  0.470
O -1.640 -4.286 1.273  -0.934
H -1.259 -3.475 0.937  0.468
H -1.760 -4.125 2.209  0.467

#Q
This record from OMol25 describes 4 unconnected molecules or ions with the total composition H8O4. The level of theory is wB97M-V/def2-TZVPD.

HOMO level: -10.71 eV
2S+1: 1
orbital gap: 10.94 eV
LUMO level: 0.23 eV
SMILES: O.O.O.O

Each line ends with the natural charge from an NBO analysis.
Geometry (Å):
O -0.153 0.332 -2.241  -0.931
H -0.692 0.516 -2.982  0.475
H 0.598 0.848 -2.430  0.478
O -1.520 0.482 0.169  -0.980
H -1.040 0.335 -0.662  0.495
H -1.979 1.271 -0.069  0.471
O -0.078 -1.639 1.526  -0.957
H -0.732 -1.022 1.178  0.490
H -0.334 -1.736 2.442  0.469
O 2.218 0.011 1.208  -0.957
H 2.441 0.746 0.675  0.455
H 1.267 -0.147 1.188  0.492

Which of them is the least stable? Correct choice: #P.

#P
This record from OMol25 describes 4 unconnected molecules or ions with the total composition H8O4. The level of theory is wB97M-V/def2-TZVPD.

HOMO level: -10.95 eV
2S+1: 1
orbital gap: 11.17 eV
LUMO level: 0.22 eV
SMILES: O.O.O.O
There must now be several pertinent questions aimed at this apparent Nuclear Council who gave the permission and advice to Japan to allow them to build in a place where the tectonic plates are as active as a herd of Elephants ice skating on newly formed ice. I mean even the questions like Iran`s nuclear program seem off skew to pre-tend authority on, when this council gave the go ahead for Japan to build even one Nuclear power plant! It would seem a little bit of an oxymoron to even call it Nuclear Technology nowadays, since implying technology means you understand the workings of it before going on with it! We cannot claim to understand a lot of what we have allowed to go on in this planet nor can I personally understand what they all mean when they talk about cheap and clean and un-polluting power sources? This mistake has been made several times already and seems to be getting worse each time. Not what one would expect if one learnt from one`s mistakes! Japan is melt-ing down not in one reactor but three, while Chernobyl was only one reactor…so isn`t it time to come clean and stop the lying or at least tell the truth…that no one knows the consequences!
British Petroleum pumped some outrageous amount of thick black gunk into the pristine eco system of the water ways of southern USA contaminating and killing undetermined animal and marine habitats not to men-tion what we do not know got effected. How can we know what is the consequences of what occurred if it has never occurred in our history before? How can we believe these people who make regulations and safe-guards to protect us? How can we spend all this paper money we are supposedly making from cheap fuel sources when there may not be a habitat left to live on? Basic questions of epic proportions seem to come up from a time on Earth where we felt we were all doing ok? This leaking crack in the Earths sea crust that man made to pilfer a natural resource in the name of tax for the Government and profit for the Heroic companies (who gave us the car), may now be like drowning in our own bodies with perforated lungs that slowly suck us dry of the richness they once breathed into the corpse we are now peering at.
It questions scientific evidence or even the methods we base these developments on, as no one is innocent on Earth. We are all connected and we are all reliant on each other even if it looks otherwise. So it is not good enough to point a finger and go back to our little rou-tine lives thinking it did not affect us… it was too far away. That attitude seems to be limited to governments and politicians who are jostling for your vote, not con-cerned people looking after your well being.
Consider that petrol and Nuclear power are only from the last 150 years. It does not take a nuclear scientist to know we have accelerated disrepair and burden on a planet we apparently love? How did we get so lost and wrong on a road that looked to answer our dreams? Did everybody involve fall asleep at the wheel of this large automobile? Or did the systems of banking and finance distract us all for a short while? Did we think our bank-ing system would answer our calls and surpass the laws of Nature? I mean in this moment in time I feel bur-dened with some seriously unanswerable questions, which up until a year ago looked different to me. It does not point a good finger at profit or our monetary system, does it?
<<<
C23H47Br20N2S2 as an isolated structure at a distorted geometry. Source: OMol25; level of theory: ωB97M-V/def2-TZVPD.

Molecular weight ... 2013.86 Da
Total charge ... +1
Gap between HOMO and LUMO ... 6.7 eV

Last column: Mulliken charge in e.
Atoms and positions in Å:
C -2.59 1.20 0.78  -0.2026
C -2.38 0.32 2.18  -0.2677
N -2.17 -1.12 1.72  -0.0433
S -0.45 -1.42 1.62  0.4006
N 0.00 -2.15 3.16  -0.1495
C 0.31 -1.09 4.02  0.1624
S -0.03 0.15 5.18  0.1314
H -2.19 2.28 0.96  0.2053
H -1.93 0.63 -0.03  -0.1300
H -3.75 1.20 0.50  0.1530
H -3.28 0.44 2.94  0.2895
H -1.37 0.69 2.67  0.0969
H -2.64 -1.81 2.35  0.1337
H -0.29 -2.40 0.63  -0.1551
Br 0.82 -1.68 -2.31  -0.1522
C 2.69 -1.32 -1.88  0.2238
C 3.02 -1.73 -0.46  -0.6055
Br 2.31 -0.44 0.82  -0.1083
H 2.86 -0.26 -2.08  -0.1591
H 3.27 -1.92 -2.59  0.2127
H 4.10 -1.73 -0.30  0.5068
H 2.61 -2.71 -0.19  0.2050
Br -0.97 3.04 -2.12  -0.1028
C 0.90 3.40 -1.69  -0.3267
C 1.22 2.99 -0.27  -0.4052
Br 0.52 4.28 1.01  -0.1528
H 1.07 4.46 -1.89  0.4356
H 1.47 2.81 -2.40  0.1628
H 2.30 2.99 -0.11  0.2908
H 0.82 2.01 0.00  0.0954
Br 3.56 -4.55 -5.79  -0.1295
C 4.09 -5.87 -4.46  -0.5754
C 3.59 -5.49 -3.08  -0.5716
Br 4.66 -4.06 -2.31  -0.1411
H 5.18 -5.96 -4.52  0.3676
H 3.64 -6.81 -4.79  0.3664
H 3.70 -6.33 -2.39  0.3482
H 2.55 -5.16 -3.08  0.3573
Br 3.62 -4.30 1.92  -0.0825
C 2.13 -5.26 2.73  -0.4798
C 1.32 -6.01 1.70  -0.5984
Br 0.19 -4.80 0.68  -0.0233
H 1.54 -4.52 3.29  0.2420
H 2.59 -5.96 3.44  0.3807
H 0.64 -6.71 2.18  0.3969
H 1.94 -6.55 0.98  0.3468
Br -4.92 -3.45 2.82  -0.1532
C -6.28 -3.15 1.46  -0.4879
C -5.91 -1.99 0.57  -0.6221
Br -6.20 -0.28 1.46  -0.1516
H -7.23 -3.00 1.98  0.3207
H -6.32 -4.08 0.89  0.3859
H -6.55 -1.96 -0.32  0.3891
H -4.86 -2.00 0.25  0.3730
Br -0.99 1.96 10.45  -0.1079
C 0.24 2.25 8.96  -0.4528
C -0.26 3.34 8.04  -0.6023
Br -1.73 2.71 6.92  -0.1480
H 0.36 1.28 8.46  0.2360
H 1.18 2.53 9.42  0.3544
H 0.52 3.64 7.34  0.3290
H -0.63 4.22 8.58  0.4100
Br -2.76 -0.36 -2.81  -0.0581
C -4.12 -0.05 -4.17  -0.6233
C -3.75 1.11 -5.07  -0.5946
Br -4.04 2.82 -4.17  -0.1503
H -5.07 0.09 -3.65  0.3521
H -4.16 -0.98 -4.74  0.3369
H -4.39 1.14 -5.95  0.3655
H -2.70 1.09 -5.39  0.3557
Br -10.28 -2.22 0.26  -0.1491
C -10.49 -0.43 1.02  -0.4023
C -11.19 0.50 0.06  -0.6008
Br -9.98 1.08 -1.36  -0.1277
H -9.49 -0.09 1.31  0.1982
H -11.10 -0.58 1.92  0.3463
H -11.50 1.42 0.56  0.3453
H -12.06 0.05 -0.43  0.3805
Br 4.01 1.91 -1.36  -0.1263
C 5.27 2.60 -2.67  -0.5090
C 5.06 4.08 -2.91  -0.3785
Br 3.49 4.40 -4.02  -0.1689
H 5.15 1.99 -3.58  0.4159
H 6.26 2.42 -2.24  0.2363
H 5.90 4.50 -3.47  0.0830
H 4.92 4.65 -1.99  0.4185
Br 8.43 4.10 -1.22  -0.1479
C 9.69 4.79 -2.54  -0.5792
C 9.48 6.27 -2.78  -0.5556
Br 7.91 6.59 -3.89  -0.1196
H 9.57 4.18 -3.44  0.3684
H 10.68 4.61 -2.11  0.3589
H 10.32 6.69 -3.34  0.3357
H 9.34 6.84 -1.85  0.3725

***

C23H47CuO22V as an isolated structure at a distorted geometry. Source: OMol25; level of theory: ωB97M-V/def2-TZVPD.

Spin multiplicity ... 4
>>>
Not to rub salt into the wound, but the rest of the world has been suffering tsunamis, earth quakes, tornadoes, flooding, fires, a near fatal banking crisis (not to men-tion the French world bank representative who is up on sexual assault charges), and now even football in Europe has its sporting image tainted! The world is hemorrhag-ing big time on all levels and we are all to blame in part, as we let those rule on all our lives because we trusted what they said to be true. The fact is that no one knows, and we are learning by trial and error. The value of economics does not match anything we received as a consequence when it sacrifices all the things money cannot buy like our fresh air, or clean water and solid ground. We are living a big illusion based on illusionist’s creations and it is leading to a big down fall for us all unless we wake up and attack the root causes.
The Manmade laws seem to reflect the wrong values and do not consider Mother Nature`s value at all. As Mother Nature`s systems reach tipping point we will all suffer violently, so it is time to take a stand. We need to know that our knowledge and technology benefit us and our environment. We also need to be honest in answer-ing questions on things new to us, to gauge if it is worth the risk compared to the gains.
Blind acceptance of our law makers is no longer sufficient for me and my 3 kids and wife. I wish to do some-thing positive to help rectify this predicament we are in. I truly believe medical Cannabis use and personal bene-fits without material gains are a better alternative for our future, the one where we leave the world we inhabit in a better state than we found it in. The industries surrounding the Cannabis plant cannot be over looked any longer. The level of unemployment worldwide is critical, our CO2 emissions are immense and the need for a greener future where plants seem to offer alternatives needs to be seriously addressed. The useless incarceration of people of all ages for Cannabis serves no one or no country. In short we need to grow up and see the things that are helping us and the things that are not.and smell the coffee,If we as a species on Earth in 150 years can have such an impact with our Industrial revolution, then we better wake up cause at this rate we are committing collective-suicide!
I do not pretend to be a politician in my thinking nor ever wish to be, but my contribution to the world can be positive and if we all do this then the world will be a better place in the end.
Striving solely for monetary gains must cease to become a m o t i v a t i n g factor. We need to put our planet first and its health as priority. Only by doing the recycling and repenting will we repay! Time to begin was yesterday, but we can do it today as it is better to try than never to have tried!